Wasting the Wastewater

Wastewater treated with chlorine at a plant in Fort Worth. While the reuse of such water in industry and on golf courses has become familiar, scientists say that such recycling water will also be crucial to the drinking supply someday.Djakhangir Zakhidov for The Texas TribuneWastewater being treated at a plant in Fort Worth. While its reuse in industry and on golf courses is common, scientists say that recycling will also be crucial to the drinking supply someday.
Green: Politics

Each day, American municipalities discharge treated wastewater back into natural sources at a rate that would fill an empty Lake Champlain within six months. Growing pressure on water supplies and calls for updating the ancient subterranean piping infrastructure have brought new scrutiny to this step in the treatment process, which is labeled wasteful and unnecessary by a spectrum of voices.

“As the world enters the 21st century, the human community finds itself searching for new paradigms for water supply and management,” says a report released this month by the Water Science and Technology Board of the National Research Council, a division of the National Academy of Sciences. The report investigates the potential for establishing a more resilient national water supply through the direct recycling of municipal wastewater.

“Law and practice have always been that water goes back into a river or into groundwater or the ocean before it returns for further treatment,” said Brent Haddad, founder and director of the Center for Integrated Water Research at the University of California, Santa Cruz, and a member of the committee that wrote the report. The critical question, he said, is “whether that natural stage of treatment is actually an efficient stage of treatment.”

Sixteen experts representing industry, government, and research fields in the social sciences and hard sciences collaborated over three years to produce the study, examining everything from pathogenic risks to public attitudes about reuse.

The committee ultimately concluded that the reuse of municipal wastewater can safely and significantly increase the nation’s available water resources – potable and nonpotable – without intermediate discharge into the natural environment. “The technology for treating wastewater is good enough that we don’t need that intervention,” Dr. Haddad said.

The non-potable reuse of wastewater is not a new idea, especially where water is a historically stressed resource. For decades, the Southwest Florida Water Management District has used recycled wastewater in industry, agriculture and commerce. Ten percent of total water use district-wide now comes from recycling.

By contrast, less than three-tenths of 1 percent of total water use across the United States involves recycling.

Despite Florida’s national leadership in water reuse, not one drop is ever poured from a pitcher or sipped from a glass; it is instead used to keep lawns and golf courses green or to cool industrial machinery and drive steam turbines. A stigma tilts against the idea of drinking recycled wastewater, though experts say that this is largely unwarranted.

“The fact is, people already drink reused water,” said Ken Herd, the water supply program director for the southwest Florida district. In a process known as “de facto reuse,” municipal water facilities are commonly sited on rivers or reservoirs downstream from other wastewater treatment facilities, which leads to a progression of unplanned and unregulated water reuse, from one plant down to the next.

The report found that levels of chemicals in existing water supplies and recycled water are essentially equivalent. Pathogen levels were also equivalent, and sometimes even lower, in recycled water, it said.

(Crystal structures, kept here for reference)
- - -
SrPtCl2 | PBE-GGA | optimized geometry

ΔE_f (raw) ... -857 meV/atom
Polymorph energy (0 for the lowest one) ... 468 meV/atom

Unit cell a=7.0612 b=7.0612 c=7.0612 alpha=90.00 beta=90.00 gamma=90.00
Space group Fm-3m (No. 225)
Inequivalent atoms, fractional coordinates:
Sr 0.0000 0.0000 0.0000 x4
Pt 0.0000 0.0000 0.5000 x4
Cl 0.2500 0.2500 0.2500 x8

~~~~~

1.
Compound: Te2PbSeI
Source: Alexandria via LeMat-Bulk
Functional: PBEsol
Structure: relaxed

Output
formation energy (no corrections)	0.78	eV/atom
DOS at the Fermi energy	1.591	states/eV/atom
space-group type	P4/mmm (123)
total magnetic moment	2.15	μB per formula unit
E above lowest polymorph	56.3	kJ per mole of atoms

Unit cell a=5.781 b=5.781 c=5.937 alpha=90.00 beta=90.00 gamma=90.00
Each line ends with the local moment (μB).
Fractional positions:
Se  0.500  0.500  0.500  1.01
Te  0.000  0.500  0.000  0.10
Te  0.500  0.000  0.000  0.10
Pb  0.000  0.000  0.000  0.00
I  0.000  0.000  0.500  0.09

---

2.
Compound: Ca3PbSe4
Source: Alexandria via LeMat-Bulk
Functional: PBEsol
Structure: relaxed

Output
formation energy (no corrections)	-1.65	eV/atom
DOS at the Fermi energy	0.000	states/eV/atom
space-group type	Pmmm (47)
total magnetic moment	0.00	μB per formula unit

Unit cell a=4.192 b=5.946 c=8.424 alpha=90.00 beta=90.00 gamma=90.00
Fractional positions:
Ca  0.000  0.500  0.500
Ca  0.500  0.000  0.748
Ca  0.500  0.000  0.252
Se  0.000  0.000  0.500
Se  0.000  0.000  0.000
Se  0.500  0.500  0.260
Se  0.500  0.500  0.740
Pb  0.000  0.500  0.000

---

3.
Compound: YCrP2
Source: Alexandria via LeMat-Bulk
Functional: PBEsol
Structure: relaxed

Output
DOS at the Fermi energy	0.356	states/eV/atom
space-group type	Immm (71)
total magnetic moment	2.80	μB per formula unit
E above lowest polymorph	28.5	kJ per mole of atoms

Unit cell a=3.846 b=4.711 c=4.711 alpha=70.66 beta=65.91 gamma=65.91
Each line ends with the local moment (μB).
Fractional positions:
Y  0.000  0.500  0.500  -0.01
Cr  0.500  0.000  0.000  2.71
P  0.206  0.794  0.794  -0.07
P  0.794  0.206  0.206  -0.07

---

4.
Compound: MgV3P3O13
Source: Alexandria via LeMat-Bulk
Functional: PBEsol
Structure: relaxed

Output
formation energy (no corrections)	-2.28	eV/atom
DOS at the Fermi energy	0.454	states/eV/atom
space-group type	P2_1/m (11)
total magnetic moment	6.00	μB per formula unit

Unit cell a=6.296 b=7.545 c=9.889 alpha=100.24 beta=90.00 gamma=90.00
Each line ends with the local moment (μB).
Fractional positions:
Mg  0.750  0.361  0.816  0.00
Mg  0.250  0.639  0.184  0.00
O  0.750  0.338  0.393  0.00
O  0.750  0.625  0.254  -0.01
O  0.061  0.750  0.399  0.00
O  0.043  0.218  0.903  0.00
O  0.250  0.517  0.978  0.00
O  0.457  0.218  0.903  0.00
O  0.561  0.250  0.601  0.00
O  0.250  0.092  0.134  -0.01
O  0.562  0.607  0.790  0.00
O  0.750  0.018  0.420  -0.01
O  0.250  0.982  0.580  -0.01
O  0.750  0.483  0.022  0.00
O  0.750  0.126  0.096  -0.11
O  0.750  0.768  0.617  -0.01
O  0.750  0.908  0.866  -0.01
- - -

“Nonetheless, when reuse becomes the primary intention of water management, this tends to create public pause,” Mr. Herd said.

**Data records that have nothing to do with the text:**
~~~
(1)
Density functional theory data (GGA-PBE) for an optimized crystal structure of GaAsCCl2.

a b c (Å): 4.704 5.261 4.704
angles (deg): 90.00 90.00 90.00
Last column: magnetic moment on the atom in μB.
Positions (direct):
As 0.000 0.500 0.000  -0.41
C 0.500 0.500 0.500  0.75
Ga 0.000 0.000 0.000  0.01
Cl 0.000 0.000 0.500  -0.01
Cl 0.500 0.000 0.000  0.00

Properties
Its space group is P4/mmm, No. 123. The uncorrected formation energy is 1.307 eV per atom. The total moment is 0.7 μB/cell.

***

(2)
Density functional theory data (GGA-PBE) for an optimized crystal structure of Na2YAsSe4.

a b c (Å): 8.246 8.246 8.324
angles (deg): 120.32 120.32 90.08
Positions (direct):
Na 0.500 0.000 0.000
Na 0.500 0.000 0.500
Na 0.000 0.000 0.500
Na 0.500 0.500 0.000
Y 0.000 0.500 0.000
Y 0.000 0.500 0.500
As 0.500 0.500 0.500
As 0.000 0.000 0.000
Se 0.229 0.755 0.992
Se 0.745 0.271 0.508
Se 0.255 0.729 0.492
Se 0.771 0.245 0.008
Se 0.754 0.746 0.976
Se 0.754 0.746 0.524
Se 0.246 0.254 0.476
Se 0.246 0.254 0.024

Properties
Its space group is Imma, No. 74. The uncorrected formation energy is -1.091 eV per atom. The total moment is 0.0 μB/cell.

----------

Version A
A relaxed structure of LaCrCu. Source: Alexandria via LeMat-Bulk, functional PBE.

Unit cell a=4.6885 b=4.6885 c=4.6885 alpha=60.00 beta=60.00 gamma=60.00
Last column: nearest neighbours and their distance in Å.
Atoms (fractional coordinates):
1 Cu 0.2500 0.2500 0.2500  4 Cr 2.87, 4 La 2.87
2 Cr 0.5000 0.5000 0.5000  4 Cu 2.87
3 La 0.0000 0.0000 0.0000  4 Cu 2.87

Total magnetic moment (μB/cell): 3.77
Space group: No. 216

---

Version B
A relaxed structure of LaCrCu. Source: Alexandria via LeMat-Bulk, functional PBE.

Unit cell a=5.7935 b=5.7934 c=3.4619 alpha=72.62 beta=72.61 gamma=34.77
Last column: nearest neighbours and their distance in Å.
Atoms (fractional coordinates):
1 La 0.3305 0.3305 0.6695  5 Cr 3.09-3.27, 5 Cu 3.17-3.21
2 Cu 0.6328 0.6328 0.3672  4 Cr 2.65
3 Cr 0.0367 0.0367 0.9633  4 Cu 2.65

Total magnetic moment (μB/cell): 3.51
Space group: No. 107

---

Version C
A relaxed structure of LaCrCu. Source: Alexandria via LeMat-Bulk, functional PBE.

Unit cell a=4.8374 b=4.8374 c=4.8374 alpha=60.00 beta=60.00 gamma=60.00
Last column: nearest neighbours and their distance in Å.
Atoms (fractional coordinates):
1 Cu 0.5000 0.5000 0.5000  4 La 2.96
2 La 0.7500 0.7500 0.7500  4 Cr 2.96, 4 Cu 2.96
3 Cr 0.0000 0.0000 0.0000  4 La 2.96

Total magnetic moment (μB/cell): 4.14
Space group: No. 216

---

Version D
~~~

Legal and regulatory hurdles to widespread wastewater reuse persist. The report notes that wastewater plants that make discharges into ocean and estuaries, like many in Florida, are most suitable for recycling retrofits; high recycling rates along inland rivers could inhibit stream flow and raise legal questions over access rights for downstream users. Of the 32 billion gallons of wastewater discharged every day, 12 billion gallons is discharged into oceans and estuaries.

Regulation of water reuse programs could prove a contentious issue. State- or district-level programs could be upset or overturned if a federal agency were charged with setting public or environmental health guidelines, for example.

“Many state and local officials are leery of a new national standard, either written or implemented as one size fits all,” said Ben Grumbles, the president of the Clean Water America Alliance and a member of the Water Science and Technology Board.

The costs and benefits of water reuse depend on context, he argues, and federal mandates could prove unnecessarily costly in many areas. “That’s why so many people believe that water issues are always local,” he said.

It is not clear whether the federal Environmental Protection Agency has the authority to impose national water reuse standards, because this kind of water management falls into a gray area between the Clean Water Act and the Safe Drinking Water Act.

Despite these challenges, Mr. Grumbles asserts, “the future of water is the reuse movement.” The nation’s swelling population and increasing urban density are driving up demand as climate change slowly destabilizes the supply, he noted.

Desalination and long-distance imports are energy-intensive and costly. Aquifers are being overdrawn, and most dammable rivers are already at the limits of exploitability, he added. “All of this puts a premium on water reuse,” Mr. Grumbles said.

## The entry is interrupted by materials data
4
Lattice="2.850 0.000 0.000 0.000 4.954 0.000 0.000 0.000 6.018" Properties=species:S:1:pos:R:3 comment="PBE-GGA K2MnRe, relaxed" energy_ev_per_cell=-18.1 polymorph_energy_ev_per_fu=2.42 vol_a3_per_cell=85.0 pbc="T T T"
K 0.000 0.000 0.000
K 1.425 2.477 0.000
Mn 0.000 2.477 3.009
Re 1.425 0.000 3.009

---

5
Lattice="4.410 0.000 0.000 0.000 4.410 0.000 0.000 0.000 4.410" Properties=species:S:1:pos:R:3 comment="PBE-GGA KMnRe3, relaxed" energy_ev_per_cell=-27.4 polymorph_energy_ev_per_fu=11.02 vol_a3_per_cell=85.8 pbc="T T T"
K 0.000 0.000 0.000
Mn 2.205 2.205 2.205
Re 0.000 0.000 2.205
Re 0.000 2.205 0.000
Re 2.205 0.000 0.000

---

4
Lattice="0.000 3.680 3.680 3.680 0.000 3.680 3.680 3.680 0.000" Properties=species:S:1:pos:R:3 comment="PBE-GGA K2MnRe, relaxed" energy_ev_per_cell=-17.1 polymorph_energy_ev_per_fu=3.34 vol_a3_per_cell=99.6 pbc="T T T"
K 0.000 0.000 0.000
K 1.840 1.840 1.840
Mn 3.680 3.680 3.680
Re 5.519 5.519 5.519

---

5
Lattice="4.116 0.000 0.000 0.000 4.116 0.000 0.000 0.000 4.116" Properties=species:S:1:pos:R:3 comment="PBE-GGA KMn3Re, relaxed" energy_ev_per_cell=-26.2 polymorph_energy_ev_per_fu=9.34 vol_a3_per_cell=69.7 pbc="T T T"
K 0.000 0.000 0.000
Mn 0.000 0.000 2.058
Mn 0.000 2.058 0.000
Mn 2.058 0.000 0.000
Re 2.058 2.058 2.058

~~~~~

Entry 1:
Compound: Li3Pm2PdO6
Source: Alexandria
Functional: PBE
Structure: relaxed

Computed properties:
total DFT energy (no corrections)	-75.27	eV/f.u.
volume	12.7	Å³/atom

```
Li3Pm2PdO6
1.0
5.916 -0.146 0.090
-3.083 5.051 0.090
-0.871 -1.508 5.120
Li Pm Pd O
3 2 1 6
Direct
0.115 0.885 0.500
0.885 0.115 0.500
0.500 0.500 0.500
0.336 0.664 0.000
0.664 0.336 0.000
0.000 0.000 0.000
0.947 0.646 0.770
0.728 0.728 0.265
0.053 0.354 0.230
0.646 0.947 0.770
0.272 0.272 0.735
0.354 0.053 0.230
```


Entry 2:
Compound: Er12Tl5Ir2
Source: Alexandria
Functional: PBE
Structure: relaxed

Computed properties:
energy relative to the elements	-239	meV/atom
volume	31.1	Å³/atom

```
Er12Tl5Ir2
1.0
-1.637 -6.216 4.008
0.212 -1.323 -9.124
9.208 -0.727 2.634
Er Tl Ir
12 5 2
Direct
0.988 0.976 0.172
0.097 0.673 0.908
0.576 0.673 0.908
0.101 0.702 0.428
0.601 0.702 0.428
0.496 0.992 0.758
0.504 0.008 0.242
0.899 0.298 0.572
0.399 0.298 0.572
0.903 0.327 0.092
0.424 0.327 0.092
0.012 0.024 0.828
0.300 0.600 0.638
0.310 0.621 0.162
0.000 0.000 0.500
0.690 0.379 0.838
0.700 0.400 0.362
0.711 0.000 0.000
0.289 0.000 0.000
```


Entry 3:
Compound: Nd2Dy5HoSc
Source: Alexandria
Functional: PBE
Structure: relaxed

Computed properties:
energy relative to the elements	277	meV/atom
volume	31.7	Å³/atom

```
Nd2Dy5HoSc
1.0
8.475 0.000 0.000
0.000 8.475 0.000
-4.237 -4.237 7.947
Nd Dy Ho Sc
4 10 2 2
Direct
0.121 0.379 0.000
0.621 0.121 0.000
0.379 0.879 0.000
0.879 0.621 0.000
0.932 0.432 0.288
0.645 0.145 0.712
0.068 0.568 0.712
0.145 0.068 0.712
0.568 0.645 0.712
0.855 0.932 0.288
0.432 0.355 0.288
0.355 0.855 0.288
0.500 0.500 0.000
0.000 0.000 0.000
0.250 0.250 0.500
0.750 0.750 0.500
0.250 0.750 0.500

Though reuse is not a silver bullet – such efforts must be accompanied by less costly conservation and efficiency programs – recycled water will inevitably become a “very important part of our national water management portfolio,” Mr. Herd predicts.

Mr. Grumbles agrees. “In essence, there is no wastewater,” he said. “Just wasted water.”